Chapter 2: Background to the Mental
Capacity Act
What did the Act intend to achieve?
23. The Mental Capacity Act was the culmination
of a very long process of consultation which began in 1989, when
the Law Commission undertook a study into the law for decision-making
on behalf of persons who lack capacity. A report followed in 1995
recommending that there should be a single comprehensive piece
of legislation making provisions for people who lack capacity.[14]
A Green Paper was published in 1997,[15]
followed by a White Paper in 1999,[16]
which subsequently formed the basis of the draft Mental Incapacity
Bill. The draft Bill was published in June 2003 and referred to
a joint committee for pre-legislative scrutiny. The joint committee
reported in November of that year.[17]
24. The evidence submitted to the pre-legislative
scrutiny committee showed that there was "widespread support"
for such a Bill,[18]
and the Committee endorsed the Government's proposal for a "comprehensive
statutory framework to define mental capacity, help those lacking
it to make their own decisions where they can and enable sound
decisions to be made for them when they can not".[19]
25. Finally, in June 2004 the Mental Capacity
Bill was introduced.[20]
The Government said the Bill would "empower, protect and
support people who lack mental capacity" and that "professionals,
families and friends who care for people who lack mental capacity
need to understand more fully and more clearly their legal rights
and responsibilities".[21]
26. The Government expected that the Bill would
"over time bring about a quiet revolution in public attitudes
and practice".[22]
There was recognition from the beginning, however, that the success
of the Act would depend on its implementation, which would in
turn depend on many individuals working across many different
settings. The pre-legislative scrutiny committee agreed that "legislation
can only go so far. It must be accompanied by changes in attitude
which recognise the rights of those lacking capacity and the need
to instil respect and good practice in dealing with them".[23]
How did the Government set out
to achieve it?
27. The Government invested "significant
effort in implementation of the Act, in recognition of the scale
of cultural change and the changes in working practices
required".[24] The
'Mental Capacity Implementation Programme,' delivered jointly
by the Ministry of Justice, the Department of Health, the Office
of the Public Guardian and the Welsh Assembly Government, featured
the publication of a series of booklets aimed at family, friends
and unpaid carers, and professionals in health and social care;
a DVD depicting real life stories; and a monthly implementation
update newsletter distributed to those in social, health care
and legal professions.
28. The Department of Health funded an implementation
team with a national manager and nine regional managers. Initially
planned for three years, the Department subsequently extended
the team's work to five. During this time the Department:
· commissioned
a series of training materials and audit tools;
· funded
support for Independent Mental Capacity Advocates (IMCAs);
**Attached: calculated molecules:**
-- begin --
1.
Molecular formula: C3H6InO
Method: DFT, the ωB97M-V functional and the def2-TZVPD basis

Charge: +3
Multiplicity: 1
Energy above the lowest of the compared OMol25 structures with the same formula, charge and spin (kcal/mol): 41.9
Frontier orbital gap (eV): 4.122
HOMO level (eV): -25.25
Strongest force on any atom (eV Å⁻¹): 6.1

CARTESIAN COORDINATES (ANGSTROEM)
H 0.018 -2.092 -0.428
C -0.254 -0.040 0.044
H -0.506 1.959 0.868
H 0.720 1.180 1.761
O -1.419 -0.078 -0.336
H 1.393 -1.109 -0.907
H 1.119 1.733 0.226
In -3.213 0.003 -2.690
C 0.666 -1.274 -0.113
H 1.172 -1.521 0.821
C 0.304 1.239 0.755

Atomic forces in eV per Å
H -0.5 0.1 0.1
C -5.8 -0.3 -1.7
H -0.8 -0.4 -0.4
H 0.1 -1.4 0.4
O 5.0 1.1 1.9
H 0.3 0.8 -0.2
H 0.5 -0.8 -1.3
In -0.7 -0.2 -0.7
C 1.5 -2.2 -0.4
H 0.0 0.5 0.5
C 0.4 2.8 1.7

---

2.
Molecular formula: C3H6N
Method: DFT, the ωB97M-V functional and the def2-TZVPD basis

Charge: +1
Multiplicity: 1
Energy above the lowest of the compared OMol25 structures with the same formula, charge and spin (kcal/mol): 56.2
Frontier orbital gap (eV): 12.955
Structure (SMILES): C1[C@@H]2[NH2+][C@H]12
HOMO level (eV): -16.56
Strongest force on any atom (eV Å⁻¹): 4.3

CARTESIAN COORDINATES (ANGSTROEM)
H -1.981 0.159 0.003
C 1.143 -0.021 0.310
H -1.225 -0.144 1.320
C 0.055 0.703 -0.369
H 1.995 -0.130 -0.195
H 1.085 0.012 1.328
C 0.004 -0.740 -0.477
N -1.058 -0.030 0.272
H -0.300 1.470 -1.263
H -0.020 -1.272 -1.376

Atomic forces in eV per Å
H -1.5 0.1 -2.0
C -3.9 -0.3 -1.7
H 1.5 0.0 -1.2
C -1.8 2.8 -2.9
H 3.6 0.0 -1.5
H 0.3 -0.3 2.6
C 0.6 1.4 2.0
N 0.1 -0.6 2.6
H 1.6 -1.8 2.8
H -0.5 -1.2 -0.7

---

3.
Molecular formula: C3H6N2
Method: DFT, the ωB97M-V functional and the def2-TZVPD basis

Charge: 0
Multiplicity: 1
Energy above the lowest of the compared OMol25 structures with the same formula, charge and spin (kcal/mol): 26.1
Frontier orbital gap (eV): 10.646
Structure (SMILES): CNCC#N
HOMO level (eV): -9.75
Strongest force on any atom (eV Å⁻¹): 1.3

CARTESIAN COORDINATES (ANGSTROEM)
N -1.651 -1.315 -0.745
H 0.397 -1.399 -0.470
C -1.546 -0.235 -0.336
C -0.764 0.937 0.143
H -1.274 1.518 0.915
H 1.444 -0.117 -1.146
H 0.406 0.127 1.592
H 1.970 -1.005 0.325
C 1.113 -0.574 -0.201
H -0.608 1.602 -0.715
N 0.513 0.461 0.639

Atomic forces in eV per Å
N -0.8 1.0 0.3
H 0.9 0.6 0.4
C 0.1 -0.9 -0.3
C 0.0 0.2 0.0
H 0.0 -0.2 -0.2
H 0.1 -0.1 0.3
H 0.0 0.0 -0.2
H -0.1 0.2 -0.2
C 0.0 -0.4 -0.2
H 0.0 -0.1 0.1
N 0.0 -0.2 0.1

---

4.
Molecular formula: C3H6N2
Method: DFT, the ωB97M-V functional and the def2-TZVPD basis

Charge: 0
Multiplicity: 1
Energy above the lowest of the compared OMol25 structures with the same formula, charge and spin (kcal/mol): 31.2
Frontier orbital gap (eV): 9.929
Structure (SMILES): [H]/N=C(\N)C=C
HOMO level (eV): -9.02
Strongest force on any atom (eV Å⁻¹): 3.9

CARTESIAN COORDINATES (ANGSTROEM)
H 1.875 1.159 0.243
N -0.371 1.483 -0.067
H 0.672 -1.617 -0.468
C 1.975 0.034 0.037
H -2.621 -0.119 0.118
H -1.730 -1.506 0.483
H 2.951 -0.469 -0.006
-- stop --
· invited
local authorities to set up multi-agency Local Implementation
· made
additional funding available to local authorities and the NHS
to support implementation (from 2008 onwards);
· worked
with partner organisations, including the NHS Confederation, Association
of Directors of Adult Social Services, the General Medical Council,
the British Medical Association and the voluntary sector; and
· grant-funded
over 50 organisations to update policies, develop good practice
guidance, design audit tools and carry out research.
29. However, as Paul Gantley, former national
implementation manager at the Department of Health, told us, from
2007 there was "a quite different beast to contend with
deprivation of liberty safeguards".[25]
The implementation programme after 2007 became focused on the
implementation of the new safeguards inserted into the Act by
the Mental Health Act 2007.
30. The Department of Health implementation programme
came to an end in 2011. Mr Gantley suggested that this was
"part of a wider decision" taken in the context of austerity
cuts, and that there was no considered assessment that the work
was complete.[26] Some
witnesses argued that this support for implementation was withdrawn
too soon.[27]
31. Assessment of the effectiveness of the implementation
programme varied among witnesses. The MCA and MCA DoLS Team of
Cambridgeshire County Council said that the programme was effective
in providing leadership and guidance,[28]
while Empowerment Matters CIC argued that it focused too much
on professionals and not enough on families and the wider public.[29]
Hampshire County Council and Camden Safeguarding Adults Partnership
Board argued that social care professionals were prioritised over
other professional groups, including those in health care settings;[30]
because, as the College of Social Work suggested, it was assumed
that medical professionals would understand the Act.[31]
32. Even those who welcomed the programme questioned
its sustainability. The Law Society argued that it lacked an effective
means of monitoring implementation and ensuring compliance, and
that without these, "it is difficult to see how sustainable
change can be effected or appraised".[32]
How did the Government intend
to measure success?
33. The regulatory impact assessment for the
Mental Capacity Act said that the Government's objective would
be "to ensure that the Bill is working as we expect it to,
making a real difference in the lives of vulnerable adults".[33]
However, it conceded that "the most important aspects of
the Bill are quite difficult to measure".[34]
Instead, the Government would want to reassure itself that "the
way in which people who lack capacity are helped to take decisions
reflects the principles of the Bill, i.e. people are first assumed
to have capacity, allowed to take their own decisions as far as
possible, and that others act in their best interests".[35]
It concluded that:
"since the main and most widespread change we
seek is a difference in how decisions are taken and delivering
benefits to the wide group of vulnerable people, this is likely
to involve qualitative research as well as reviewing feedback,
e.g. MPs' letters and outcomes such as statistics on court
cases, complaints, reports in the media".[36]
34. This view was echoed in the evidence provided
by the departmental officials at the outset of our inquiry.[37]
However, there was no evidence of how, or indeed whether, the
Government sought to assess progress against the criteria identified
for success. When we asked the Minister for Care and Support,
Norman Lamb MP, how the Government had measured the way in
which the principles of the Act were being implemented in practice,
he conceded that the Government had "an incomplete picture"
but that he was "open to ideas of what more we can do to
gain a better understanding".[38]
Consequently, it is not clear to us that the Government took any
measures to ascertain whether the Act met the criteria set out
35. While we recognise that the application
of the Act is very wide and a complete picture would be hard to
achieve, the absence of any monitoring is indefensible, if the
benefits of this legislation are to be delivered. We recommend
as a matter of urgency that the Government take steps to establish
regular and dedicated monitoring of implementation of the Act,
and that this should include all the sectors across which the
Act applies.
36. We recommend that an independent body
with overall responsibility for implementation of the Act, be
given responsibility for ensuring such monitoring takes place.
Measuring public attitudes
37. From the introduction of the Bill to its
enactment, there was an expectation from Government and others
that a change in public attitudes and practice would develop as
a result of the Act. Indeed, the pre-legislative scrutiny committee
found that such a change would be essential to its successful
implementation (see paragraph 26).[39]
But the plans for measuring such change were extremely vague and
we are not convinced, based on the evidence of officials and ministers,
that they were ever acted on.
38. It may be less easy to measure changes in
attitude and culture than it is to collect more concrete data,
but clearly there are ways to measure awareness and attitudes
among professionals and the wider public. This is no substitute
for monitoring actual implementation of the Act. However, if a
change in public attitudes is considered an important outcome
of the Act, and arguably the effective implementation of the Act
depends on it, measuring any such change may provide an indicator
of success.
39. We recommend that the Government introduce
a robust method for measuring public and professional attitudes
to issues of capacity, in order to be able effectively to measure
any change in the prevailing culture. Ideally, benchmarking of
this sort would have taken place prior to the implementation of
the Act, but there would still be benefits in starting such activity
now. This would be a key task for the independent body to be given
overall responsibility for the Act.
14 Law Commission, Mental Incapacity, Law Com
231 (1995). Back
Who decides? Making Decisions on Behalf of Mentally Incapacitated
Adults, December 1997, Cm 3808,:
Making Decisions, October 1999, Cm 4465: Back
Joint Committee on the Draft Mental Incapacity Bill, Draft
Mental Incapacity Bill (1st Report, Session 2002-03, HL 189-I): Back
Ibid., page 13. Back
Ibid., page 5. Back
The change of name from Mental Incapacity Bill to Mental Capacity
Bill was a key recommendation of the Joint Committee on the Draft
Mental Incapacity Bill; Ibid., recommendation 99. Back
HC Deb, 11 October 2004, col 22. Back
HC Deb, 18 June 2004, col 68WS. Back
Joint Committee on the Draft Mental Incapacity Bill, op.cit.,
recommendation 3. Back
Ministry of Justice. Back
Q 186. Back
Q 186. Back
Q 177. Back
MCA and MCA DoLS Team of Cambridgeshire County Council. Back
Empowerment Matters CIC. Back
Camden Safeguarding Adults Partnership Board; Hampshire County
Council. Back
Q 140. Back
The Law Society. Back
Department for Constitutional Affairs, Mental Capacity Act Regulatory
Impact Assessment. June 2004, p.19. Back
Ibid. Back
- - -
No. 1
DFT (ωB97M-V/def2-TZVPD) results for a single C6H11N molecule at a distorted geometry.

Summary:
**LUMO level**: 0.0338 Ha
**SMILES string**: CCC[C@@H](C)C#N
**Largest force on an atom**: 1.10 eV/A
**Energy above the lowest of the compared OMol25 structures with the same formula, charge and spin**: 0.0702 eV

Each line ends with the Mulliken charge.
Geometry (Å):
N 0.84135 2.05380 2.16301  -0.48
C 1.05701 -0.11492 0.68986  0.70
C 0.93903 1.09851 1.51725  0.15
C 2.49673 -0.27556 0.18777  -1.52
C -1.40110 0.18335 0.02007  -0.34
C -2.46057 -0.26493 -0.98241  -1.32
C 0.02725 -0.09954 -0.45298  -0.85
H -1.57263 -0.32672 0.97789  0.32
H 2.79384 0.58722 -0.41679  0.35
H 0.81292 -0.95928 1.34875  0.20
H 2.57398 -1.17496 -0.43164  0.38
H -1.50625 1.25545 0.22631  0.34
H 0.07544 -1.08213 -0.94173  0.37
H 0.33084 0.63971 -1.20631  0.30
H -2.32369 0.21731 -1.95713  0.32
H -2.41624 -1.34948 -1.13699  0.33
H -3.46651 -0.01957 -0.62656  0.36
H 3.19859 -0.36826 1.02163  0.39



No. 2
DFT (ωB97M-V/def2-TZVPD) results for C12H25Cl2LuN3 as an isolated structure at a distorted geometry.

Summary:
**LUMO level**: 0.1044 Ha
**Total charge**: -1
**Largest force on an atom**: 3.00 eV/A

Each line ends with the Mulliken charge.
Geometry (Å):
Lu -0.74339 -1.04102 -1.23561  0.58
Cl 1.06371 -2.73925 -1.11498  -0.66
Cl -2.13802 1.03806 -1.10679  -0.67
N -0.89173 -1.24262 3.00874  0.10
N -1.42445 -1.63001 0.82152  -0.26
N -2.43583 -2.94963 2.49642  0.14
C -3.30425 -3.58144 1.51364  -1.22
C -0.02070 -0.22132 2.46596  -0.91
C 1.60634 3.55679 -1.79788  -0.71
C -1.27930 -1.15393 4.39910  -1.16
C 1.55092 0.68877 -1.74440  -0.08
C 1.22651 2.84138 -3.09636  -0.92
C 0.75509 1.38745 -2.82174  -0.58
C -2.39106 -2.38771 -1.48266  -1.10
C -1.59989 -1.94297 2.07409  0.52
C -2.14942 -3.76126 3.66510  -1.16
C 2.39019 1.29535 -0.95687  -0.89
C 2.61918 2.77461 -0.93359  -0.63
H -3.99254 -2.85420 1.07118  0.41
H 2.00996 4.54621 -2.03130  0.34
H 1.52862 -0.42569 -1.75853  0.99
H 0.70225 3.68342 -1.18947  0.30
H -3.88168 -4.35331 2.03024  0.39
H 2.07731 2.84684 -3.79887  0.33
H 2.99696 0.72852 -0.23624  0.38
H -0.96423 -0.17896 4.78349  0.44
H -0.57666 0.52627 1.88316  0.24
H -2.66792 -3.37134 4.55038  0.25
H -0.30870 1.45135 -2.51249  0.14
H -2.73472 -4.03702 0.69354  0.36
H 0.78034 0.81954 -3.76233  0.32
H -2.58391 -3.44243 -1.33699  0.35
H -2.08655 -2.12953 0.08993  0.18
H 0.49679 0.26417 3.29372  0.42
H -3.28292 -1.87050 -1.87414  0.13
H 2.56885 3.15195 0.09927  0.30
H 0.40768 3.38569 -3.58332  0.36
H -1.07314 -3.83392 3.86725  0.36
H 3.63071 3.01181 -1.28942  0.31
H 0.71633 -0.67732 1.79697  0.24
H -2.36294 -1.24005 4.53164  0.38
H -0.78456 -1.92018 5.01006  0.25
H -2.54326 -4.76427 3.46787  0.43



No. 3
DFT (ωB97M-V/def2-TZVPD) results for a 2-piece molecular cluster, C5H7ClN2O4 overall at a distorted geometry.

Summary:
**LUMO level**: -0.0826 Ha
- - -
Ibid. Back
Ibid. Back
Q 1. Back
Misplaced quantum chemistry results >
........
{"formula": "C26H50LuNP3S", "method": "the ωB97M-V functional and the def2-TZVPD basis", "e_lumo_ha": -0.3738, "charge": 3, "multiplicity": 1, "homo_lumo_gap_ev": 4.9, "species": ["C", "C", "C", "C", "C", "H", "C", "H", "H", "C", "C", "Lu", "H", "C", "H", "H", "C", "C", "H", "H", "C", "H", "H", "H", "H", "H", "H", "H", "P", "C", "C", "C", "C", "C", "C", "C", "C", "H", "H", "H", "C", "H", "H", "H", "H", "C", "H", "C", "H", "H", "H", "H", "H", "H", "C", "H", "S", "H", "P", "H", "C", "H", "H", "H", "C", "H", "H", "H", "H", "H", "H", "H", "N", "H", "P", "H", "H", "H", "H", "H", "H", "H"], "coordinates": [[-3.816, -0.867, 1.489], [-0.656, 2.115, -1.856], [-3.809, -1.132, 3.981], [-2.042, -2.943, -0.808], [3.747, 1.011, -0.087], [-1.046, 2.889, -1.183], [-1.395, 2.058, 1.398], [-2.340, -3.328, 0.180], [-0.215, -3.663, -2.638], [-0.280, -0.528, 3.701], [-3.987, 1.513, 2.207], [-0.019, 0.524, -0.153], [-2.816, -2.261, -1.193], [0.467, -3.272, 0.336], [-5.064, -3.015, 2.630], [3.284, -0.761, 2.426], [1.464, 1.571, 3.210], [0.176, -2.655, -2.440], [-4.040, 3.535, 2.941], [1.323, 3.877, -1.828], [4.791, 6.631, -3.446], [1.547, -3.089, 0.327], [-2.365, 0.732, -1.865], [-3.459, -1.376, 0.589], [4.663, 1.035, -0.694], [0.166, 2.468, -2.498], [5.540, 7.297, -2.999], [3.692, -2.051, 0.480], [-0.412, -2.108, -0.781], [-3.980, -3.114, 2.581], [3.411, 5.975, -5.325], [4.243, 5.603, -2.672], [-2.137, 3.058, 2.060], [2.759, -0.030, -2.601], [-1.347, 0.954, -2.203], [2.355, -1.115, 2.889], [-3.217, 0.500, 1.615], [-1.021, 0.350, -3.061], [-3.697, -3.570, 1.629], [-1.119, 0.176, 3.722], [4.388, 6.819, -4.774], [2.138, -2.139, 2.560], [2.471, -1.112, 3.980], [-0.654, -1.536, 3.479], [2.424, -0.928, -3.134], [-3.435, 2.768, 2.458], [-3.295, -0.180, 4.133], [-1.926, 0.783, 1.187], [0.095, -3.134, 1.361], [4.633, -1.595, -0.964], [-5.026, 1.316, 2.486], [4.549, 5.431, -1.641], [1.880, 1.391, 4.210], [2.078, 4.286, -4.966], [2.847, 4.944, -4.557], [3.293, 2.013, -0.115], [2.576, 3.467, -2.209], [-1.698, 4.040, 2.250], [2.606, -0.256, -0.786], [3.181, -2.611, -1.132], [3.620, -1.773, -0.578], [4.847, 7.604, -5.383], [-4.890, -0.983, 3.963], [0.601, 2.243, 3.295], [3.231, 4.770, -3.208], [-1.951, -3.797, -1.499], [3.095, 6.137, -6.360], [-3.607, -3.715, 3.414], [0.181, -0.541, 4.693], [2.163, 0.821, -2.955], [3.993, 0.763, 0.951], [-3.528, -1.826, 4.782], [-3.406, -1.743, 2.682], [-2.372, -1.788, 2.654], [0.955, -0.024, 2.450], [2.230, 2.050, 2.589], [-0.214, -1.968, -3.205], [1.271, -2.674, -2.500], [-4.912, -0.870, 1.488], [3.813, 0.162, -2.833], [0.268, -4.301, 0.014], [-0.387, 2.349, 1.039]]}
........
End of the quantum chemistry results >
Q 314. Back
Joint Committee on the Draft Mental Incapacity Bill, Op.Cit,
recommendation 3. Back